[Excerpt]
~~~
Entry 1:
This record from OMol25 describes a structure of composition C6H8ClFeO7. The level of theory is ωB97M-V with the def2-TZVPD basis set.

LUMO energy (alpha / beta)   2.1 / 2.0 eV
Net charge   -1
⟨S²⟩   6.007
Relative energy (zero: lowest compared OMol25 entry of this formula, charge and spin)   2.7 kcal per mole
Spin multiplicity   5
E_tot   -2484.17260 hartree
E_HOMO (alpha / beta)   -3.89 / -3.84 eV

Element x y z (Å)
Fe 0.167 -1.226 -1.393
Cl -0.701 -1.735 -3.521
C 0.469 0.978 2.132
C 0.281 0.492 0.880
C -0.751 1.142 -0.051
O -0.794 0.660 -1.230
C -1.496 2.193 0.405
C -1.336 2.729 1.716
C -0.296 2.082 2.646
O -0.136 2.517 3.767
O -1.946 3.699 2.126
O 0.944 -0.487 0.371
H 1.231 0.466 2.710
H -2.202 2.665 -0.265
O -1.440 -2.025 -0.238
H -1.491 -2.515 0.587
H -2.322 -2.028 -0.624
O 1.961 -0.113 -2.211
H 2.581 -0.182 -2.941
H 2.272 0.594 -1.637
O 1.454 -2.985 -1.047
H 1.489 -3.715 -0.424
H 2.062 -3.206 -1.759

***

Entry 2:
This record from OMol25 describes the molecule C6H8ClN. The level of theory is ωB97M-V with the def2-TZVPD basis set.

LUMO energy   0.2 eV
Relative energy (zero: lowest compared OMol25 entry of this formula, charge and spin)   15.8 kcal per mole
E_tot   -748.32286 hartree
E_HOMO   -10.11 eV

Element x y z (Å)
C 2.205 2.509 -0.564
C 1.281 1.447 -1.110
C 1.367 0.175 -0.278
C 0.340 -0.359 0.363
C 0.442 -1.727 0.769
N 0.457 -2.852 1.047
C -0.973 0.255 0.693
Cl -2.390 -0.372 -0.245
H 1.816 2.944 0.522
H 2.425 3.383 -1.258
H 3.192 2.128 -0.401
H 1.635 1.110 -2.074
H 0.260 1.808 -1.264
H 2.323 -0.254 -0.128
H -1.325 0.032 1.702
H -0.863 1.336 0.515

***

Entry 3:
This record from OMol25 describes the molecule C6H8ClN. The level of theory is ωB97M-V with the def2-TZVPD basis set.

LUMO energy (alpha / beta)   0.7 / -2.4 eV
⟨S²⟩   2.008
Relative energy (zero: lowest compared OMol25 entry of this formula, charge and spin)   49.0 kcal per mole
Spin multiplicity   3
E_tot   -748.13401 hartree
E_HOMO (alpha / beta)   -5.66 / -10.63 eV

Element x y z (Å)
C 1.100 -0.429 2.080
C -0.142 1.097 -0.950
C 0.412 0.043 -0.312
C 0.200 1.494 -2.346
C -1.009 -1.514 1.276
C -0.093 -0.314 1.380
N 2.049 -0.701 2.698
Cl 1.709 -0.870 -0.810
H -1.050 1.528 -0.597
H 0.588 2.656 -2.482
H 0.992 0.886 -2.685
H -0.605 1.366 -3.059
H -1.153 -1.827 2.252
H -0.413 -2.446 0.862
H -1.876 -1.341 0.727
H -0.710 0.372 1.965

***

Entry 4:
This record from OMol25 describes a structure of composition C6H8CsLiO6. The level of theory is ωB97M-V with the def2-TZVPD basis set.

LUMO energy (alpha / beta)   -0.2 / -0.2 eV
Net charge   -1
⟨S²⟩   0.754
Spin multiplicity   2
E_tot   -712.45841 hartree
E_HOMO (alpha / beta)   -2.18 / -2.21 eV

Element x y z (Å)
O 0.867 -3.739 -2.330
C -1.109 -1.584 -0.250
C 0.996 -4.181 -1.037
O -1.571 -1.887 -1.379
O -0.277 -2.526 0.325
C -0.202 -3.886 -0.128
H 1.893 -3.754 -0.526
H 1.135 -5.288 -0.982
H -0.125 -4.492 0.788
H -1.134 -4.162 -0.649
Li -0.551 -2.735 -2.678
O 2.364 4.153 0.847
C 1.127 4.106 0.621
O 0.518 5.000 -0.019
O 0.473 3.043 1.103
C -0.901 2.875 0.740
C -1.442 1.668 1.409
H -0.976 2.795 -0.361
H -1.463 3.780 1.038
H -2.522 1.521 1.367
H -0.937 1.259 2.285
Cs 3.837 8.033 -0.185

***

Entry 5:
This record from OMol25 describes the molecule C6H8F2. The level of theory is ωB97M-V with the def2-TZVPD basis set.

LUMO energy   0.4 eV
Relative energy (zero: lowest compared OMol25 entry of this formula, charge and spin)   48.0 kcal per mole
E_tot   -433.04654 hartree
E_HOMO   -9.01 eV

Element x y z (Å)
C -0.749 2.191 -1.296
C -0.191 0.822 -1.579
C -0.520 -0.109 -0.461
C 0.425 -0.801 0.235
C 0.226 -1.640 1.431
F -1.085 -1.913 1.541
C 1.100 -1.959 2.374
F 1.140 -2.975 3.285
H -1.801 1.909 -0.916
H -0.427 2.766 -0.372
H -0.647 2.857 -2.156
H 0.954 0.925 -1.801
H -0.547 0.477 -2.597
H -1.581 -0.052 0.100
H 1.485 -0.853 0.039
H 2.217 -1.645 2.173

***

Entry 6:
This record from OMol25 describes the molecule C6H8F3NO. The level of theory is ωB97M-V with the def2-TZVPD basis set.
~~~

[To do]
Restate every line further above that contains the word "C6H8CsLiO6".

[Worked solution]
This record from OMol25 describes a structure of composition C6H8CsLiO6. The level of theory is ωB97M-V with the def2-TZVPD basis set.